Consistent engagement, sharing perspective, and vulnerability are the keys to a successful thought leadership strategy
There are a variety of reasons why improving the visibility of your CEO or executive director should be top of mind for your marketing and communications team. Boosting executive visibility establishes thought leadership in your industry which in turn should bring in media mentions, interview opportunities, and speaking gigs. Further, it will drive engagement, entice donor activity, improve sales, and support any and all organizational goals.
Amplifying the voice of your executive is a key element of PR and marketing strategy. So how do you go about getting that executive, who we all know is super busy, to participate? Therein lies the tricky part! Here are our tips for increasing executive engagement to build authority and boost visibility.
Have them make time each month to share what is top of mind
[Next to the article, the page also holds calculated molecules]
=====
21
Properties=species:S:1:pos:R:3:lowdin_charge:R:1 method="wB97M-V/def2-TZVPD" homo_energy_ev=-9.27 homo_lumo_gap_ev=8.82 largest_force_ha_per_bohr=0.0801 relative_energy_kj_mol=539.5 smiles="Cc1cc(=O)c1=O.CC1=CC1"
C -2.157 1.279 -0.268 -0.02
C -0.830 1.863 -0.014 -0.20
C 0.267 1.621 0.889 0.15
C 0.925 2.935 0.388 -0.28
O 1.758 3.758 0.730 0.10
C -0.118 2.894 -0.761 -0.32
O -0.317 3.368 -1.849 0.13
H -2.897 1.992 -0.556 0.07
H -2.359 0.558 0.563 0.10
H -2.119 0.753 -1.358 0.15
H 0.408 0.910 1.696 0.11
C 1.029 -1.089 -1.030 -0.04
C 0.746 -2.117 0.055 -0.25
C -0.103 -2.392 1.041 -0.01
C 0.983 -3.438 0.767 -0.13
H 0.519 -0.200 -0.699 0.01
H 0.590 -1.464 -2.021 0.11
H 2.157 -0.958 -1.095 0.10
H -0.956 -2.354 1.639 0.07
H 1.858 -3.499 1.474 0.08
H 0.615 -4.419 0.410 0.08

***

146
Properties=species:S:1:pos:R:3:lowdin_charge:R:1 method="wB97M-V/def2-TZVPD" homo_energy_ev=-8.46 homo_lumo_gap_ev=8.88 largest_force_ha_per_bohr=0.0585 relative_energy_kj_mol=145.9 smiles=COC[C@H](C)N.COC[C@H](C)N.COC[C@H](C)N.COC[C@H](C)N.COC[C@H](C)N.COC[C@H](C)N.COC[C@H](C)N.CCO.CCO.CCO
C -9.064 -0.115 -1.272 -0.10
O -7.790 0.494 -1.400 -0.20
C -7.131 0.604 -0.159 -0.22
C -5.754 1.238 -0.434 -0.42
C -4.914 1.338 0.831 -0.05
N -5.949 2.547 -1.118 0.04
H -9.583 -0.255 -2.213 0.09
H -9.660 0.536 -0.619 0.09
H -8.967 -1.061 -0.730 0.09
H -7.709 1.277 0.483 0.13
H -6.951 -0.373 0.302 0.13
H -5.266 0.559 -1.141 0.14
H -4.817 0.320 1.214 0.08
H -5.419 1.973 1.562 0.08
H -3.891 1.687 0.701 0.05
H -6.667 2.320 -1.806 0.07
H -6.443 3.160 -0.470 0.08
C -1.483 0.511 -3.980 -0.13
O -0.511 -0.305 -4.585 -0.18
C 0.229 -1.046 -3.620 -0.20
C 1.021 -2.181 -4.284 -0.40
C 0.128 -2.967 -5.185 -0.06
N 1.479 -3.054 -3.175 0.07
H -2.277 -0.084 -3.519 0.10
H -1.917 1.233 -4.672 0.09
H -0.968 1.112 -3.219 0.05
H 0.901 -0.345 -3.104 0.11
H -0.419 -1.463 -2.839 0.11
H 1.854 -1.734 -4.827 0.14
H 0.685 -3.732 -5.730 0.08
H -0.268 -2.323 -5.972 0.08
H -0.710 -3.414 -4.650 0.06
H 0.644 -3.322 -2.665 0.04
H 2.138 -2.653 -2.521 0.03
C -0.342 5.408 -0.521 -0.09
O -1.659 5.140 -0.065 -0.16
C -2.116 3.858 -0.412 -0.20
C -2.195 3.571 -1.893 -0.40
C -3.013 4.711 -2.570 -0.04
N -2.895 2.309 -2.133 0.06
H -0.347 5.568 -1.603 0.10
H 0.293 4.560 -0.244 0.06
H 0.023 6.331 -0.076 0.10
H -1.415 3.120 0.012 0.11
H -3.111 3.742 0.015 0.12
H -1.251 3.554 -2.444 0.10
H -3.966 4.790 -2.029 0.07
H -3.366 4.502 -3.583 0.07
H -2.626 5.732 -2.543 0.07
H -2.989 2.158 -3.126 0.07
H -3.807 2.332 -1.680 0.04
C 3.687 -0.121 -0.966 -0.09
O 2.777 -1.189 -1.106 -0.22
C 2.785 -2.151 -0.065 -0.21
C 4.102 -2.923 0.115 -0.41
C 4.479 -3.707 -1.132 -0.04
N 3.972 -3.894 1.219 0.05
H 3.422 0.619 -1.718 0.08
H 4.730 -0.381 -1.190 0.09
H 3.717 0.250 0.063 0.09
H 2.457 -1.701 0.883 0.11
H 1.962 -2.831 -0.305 0.10
H 4.908 -2.240 0.396 0.13
H 3.982 -4.675 -1.146 0.06
H 5.554 -3.858 -1.207 0.08
H 4.112 -3.159 -2.003 0.07
H 3.163 -4.515 1.089 0.04
H 3.756 -3.411 2.091 0.07
C 0.648 -4.955 0.855 -0.10
O 1.741 -5.795 1.134 -0.21
=====
As a comms team, you probably have a good idea of your CEO’s areas of passion, expertise, and positioning around topics that matter to your organization and constituents. But the world is an ever-changing place and in order to keep the executive and the organization visible on the world stage, you need to know what is top of mind and their position on things that are new and now.
- Make time each month to pick the executive’s brain. What is keeping them up at night? What do they perceive as the biggest challenges and opportunities for the organization? What is happening in the world that will affect the way they steer the ship?
[Calculated molecules that have nothing to do with the page]
<<<
{
  "formula": "C4H17N9",
  "method": "ωB97M-V/def2-TZVPD",
  "species": ["N", "N", "N", "N", "H", "H", "H", "H", "H", "N", "H", "H", "C", "H", "N", "C", "H", "N", "H", "H", "H", "H", "H", "N", "N", "H", "H", "C", "C", "H"],
  "coordinates": [[-2.373, 0.550, -2.825], [2.752, -1.514, 2.902], [0.735, -0.670, 1.835], [-2.870, 3.001, -4.043], [-1.181, 3.289, -2.875], [-2.980, -1.379, -2.802], [1.052, 0.274, -0.720], [2.375, 1.165, 3.310], [0.893, -2.247, 0.231], [-1.317, 0.596, -2.182], [4.501, -1.248, 3.811], [-0.378, -1.303, -2.415], [-0.799, -0.645, -1.581], [0.668, 0.791, 3.477], [1.719, 0.452, 3.599], [0.054, -0.206, -0.372], [-0.832, -1.822, 0.963], [3.457, -1.343, 4.084], [3.358, -1.990, 4.900], [-0.561, 0.711, -0.061], [-1.316, 4.074, -4.420], [2.090, 0.085, 4.569], [-3.188, 2.572, -3.284], [-1.725, 3.332, -3.791], [-3.140, -0.441, -3.185], [2.725, -2.508, 2.635], [-3.917, -0.250, -3.776], [1.689, -0.696, 2.600], [0.219, -1.355, 0.629], [-1.711, -1.274, -1.213]],
  "spin_multiplicity": 3,
  "s2": 2.01,
  "lumo_ev": [-5.92, -10.43],
  "orbital_gap_ev": [7.70, 5.26],
  "total_charge": 2,
  "fmax_ev_per_a": 9.1
}

----------

[1]
# C5H10N

The ion C5H10N with charge +1 in a non-equilibrium geometry (wB97M-V/def2-TZVPD, OMol25).

```
16
Properties=species:S:1:pos:R:3:nbo_charge:R:1
C -0.342 -0.605 0.326 -0.02
C 2.447 1.706 0.339 0.07
H 2.121 2.757 0.772 0.24
C -1.776 -0.624 -0.035 -0.47
H -2.962 -1.544 -1.712 0.23
H 2.287 -0.089 0.610 0.45
C 0.227 0.648 0.525 -0.13
H -2.356 -1.008 0.782 0.25
H -1.813 -2.686 -1.285 0.23
N 1.650 0.713 0.454 -0.42
H -2.220 0.367 -0.205 0.24
H -1.333 -1.200 -2.165 0.21
H -0.309 1.480 0.970 0.25
C -1.989 -1.637 -1.322 -0.60
H 3.447 1.543 -0.110 0.24
H 0.195 -1.540 0.166 0.23
```

The SMILES is C=[NH+]/C=C/CC. The value obtained for the energy above the lowest of the compared OMol25 structures with the same formula, charge and spin is 238.3 kJ/mol. The calculation puts the LUMO energy at -5.417 eV. The value obtained for the total energy is -6827.733 eV. The value obtained for the orbital gap is 8.6 eV. The charge is +1.



[2]
# C4H12

A cluster of 2 separate species, C4H12 in total in a non-equilibrium geometry (wB97M-V/def2-TZVPD, OMol25).

```
16
Properties=species:S:1:pos:R:3:nbo_charge:R:1
H 0.141 3.142 0.547 0.20
H 0.088 -2.266 0.228 0.20
C 0.607 2.175 0.396 -0.60
H -1.578 -2.916 -1.569 0.20
H -0.099 -0.671 -0.187 0.21
H 1.593 2.249 -0.058 0.20
C -1.324 -1.876 -1.400 -0.61
H 1.099 0.361 1.413 0.20
C 0.705 1.340 1.676 -0.61
H -2.150 -1.383 -0.884 0.20
H 1.493 1.756 2.300 0.20
H -1.229 -1.432 -2.400 0.20
H -0.006 1.668 -0.353 0.20
H -0.239 1.350 2.208 0.21
C 0.005 -1.637 -0.670 -0.62
H 0.893 -1.861 -1.247 0.21
```
>>>
- Share headlines and stories with the executive and ask how they would respond. Perhaps the response is enough to warrant a repost with a small commentary on LinkedIn. Perhaps it requires an entire blog or letter to the editor. Encouraging their engagement and having them share their thoughts on current events is a major boost for both the executive and the organization as a whole.
- Bring water cooler talk and constituent concerns to the executive’s desk. Do they agree with the word on the street? What is their position or unique point of view?
The information you glean during the “brain-picking” session can and most likely will be a driver of your PR strategy. Understanding their positioning will help determine how and where to pitch story ideas, when to offer the CEO as a spokesperson, what headlines might make a good byline or speaking topic, and what social chatter is worth having them respond to.
Increase activity through all communication channels
It may seem obvious, but it’s worth repeating – to build influence and visibility for your CEO, they’ll need to actively engage and participate in communications channels.
- On social media, particularly when it comes to LinkedIn and Twitter, your executive should be posting, commenting, and sharing content regularly. By connecting with other thought leaders, executives, members of the media, and partners, your executive is building their own reputation and thought leadership in your space.
- Encourage your executive to attend and speak at industry conferences. Getting on stage and sharing their story is crucial to supporting the reputation of your organization and to building awareness for your cause.
- Get them writing. Blogs and byline articles are great ways for executives to share their expertise and unique points of view. Long-form writing furnishes opportunities for the CEO to share their personal stories and passion.
People want to know what the executive thinks and what they have to say. The world needs to know their unique perspective, so help them share it and get it out there.
Encourage vulnerability
There are very few leaders of purpose-driven organizations who earned the executive title because it was just the next step up the corporate ladder. Many founded the organization and some were recruited to lead it, but 99.9% of them are in the boss’s chair because they have a passion, a connection, or a personal reason to support the mission and grow the organization.
Good storytelling comes from sharing personal stories. Some executive directors are more than willing to share their story and make the PR team’s job easy. But others will require more coaxing to become vulnerable. We all have a story to tell and putting yourself out there is hard! But, it is incredibly important. The media has no interest in talking about businesses that create widgets just to increase the bottom line. They want to write about humans doing extraordinary things because they overcame hardship or were inspired by personal events. They want to know and share the story of the CEO who founded her own recovery center after overcoming struggles with substance misuse. They want to cover the organization that was built to provide mental health services for youth because the founder’s sibling couldn’t access the help they needed.
## Records of molecules, kept here for reference
┌──
No. 1
Below is one molecule with the formula C19H19N3O4S at a distorted geometry, with properties calculated with wB97M-V/def2-TZVPD.

As for the structure (SMILES): COc1cccc(-n2c(COc3ccccc3C)nnc2SCC(=O)O)c1. The HOMO-LUMO gap comes out at 9.029 eV. The calculation puts the energy above the lowest of the compared OMol25 structures with the same formula, charge and spin at 171.2 kJ/mol.

The geometry in ORCA input format:
```
! wB97M-V def2-TZVPD RIJCOSX def2/J DEFGRID3
* xyz 0 1
C -0.37396 2.63185 4.19254
O -0.12771 2.09867 2.91244
C -0.92800 1.10146 2.45459
C -1.98922 0.54058 3.15794
C -2.73853 -0.47486 2.58647
C -2.44356 -0.95551 1.32640
C -1.37733 -0.39510 0.63217
N -1.06241 -0.88311 -0.65450
C 0.03200 -1.59695 -1.07414
C 1.14035 -2.04828 -0.18437
O 1.79907 -1.01399 0.50418
C 2.58326 -0.13345 -0.20339
C 2.73536 -0.15200 -1.58214
C 3.54954 0.78506 -2.19922
C 4.21184 1.73701 -1.44986
C 4.05954 1.74910 -0.07270
C 3.25308 0.82639 0.57029
C 3.08001 0.84101 2.05769
N -0.08640 -1.88900 -2.33717
N -1.24262 -1.38212 -2.78771
C -1.82495 -0.78751 -1.78119
S -3.36267 0.00558 -1.84263
C -3.76943 -0.48782 -3.54131
C -3.58250 -1.98413 -3.70309
O -3.82382 -2.80509 -2.86309
O -3.17693 -2.27595 -4.93497
C -0.62979 0.63165 1.17530
H 0.37707 3.40678 4.33639
H -1.37099 3.07826 4.25590
H -0.26278 1.87140 4.97178
H -2.24349 0.88690 4.14677
H -3.56312 -0.89807 3.13929
H -3.02283 -1.74806 0.87941
H 1.83672 -2.64223 -0.78925
H 0.72479 -2.68109 0.60884
H 2.22203 -0.88190 -2.18747
H 3.65797 0.76171 -3.27306
H 4.84508 2.46710 -1.93089
H 4.57815 2.49046 0.51823
H 2.11862 1.28087 2.32126
H 3.09634 -0.17443 2.44736
H 3.86824 1.42299 2.52879
H -4.81538 -0.22176 -3.69519
H -3.13192 0.04464 -4.24466
H -3.00258 -3.22655 -5.02027
H 0.18385 1.07947 0.62823
*
```


No. 2
Below is one molecule with the formula C19H19N3O5 at a distorted geometry, with properties calculated with wB97M-V/def2-TZVPD.

As for the structure (SMILES): COC(=O)CNC(=O)c1ncc(-c2cccc(NC(=O)C3CC3)c2)cc1O. The HOMO-LUMO gap comes out at 8.511 eV. The calculation puts the energy above the lowest of the compared OMol25 structures with the same formula, charge and spin at 333.9 kJ/mol.

The geometry in ORCA input format:
```
! wB97M-V def2-TZVPD RIJCOSX def2/J DEFGRID3
* xyz 0 1
C 3.98575 -0.04943 6.96335
O 3.26396 0.57912 5.94934
C 3.48021 1.87022 5.78525
O 4.09869 2.56459 6.64703
C 3.12986 2.54198 4.45221
N 2.47003 1.62688 3.47973
C 3.17168 1.09325 2.44577
O 4.39856 0.86518 2.57858
C 2.41691 0.54119 1.27778
N 1.02369 0.58154 1.31114
C 0.30513 -0.04935 0.34541
C 0.83467 -0.55043 -0.78102
C 0.05578 -1.22466 -1.82147
C 0.48271 -2.44135 -2.32763
C -0.19876 -3.10581 -3.33693
C -1.32414 -2.46170 -3.86056
C -1.86525 -1.29078 -3.29496
N -3.09185 -0.87288 -3.69535
C -3.83255 0.27272 -3.42567
O -3.59811 1.02210 -2.48299
C -5.25499 0.40061 -4.08842
C -6.53414 -0.08692 -3.44704
C -6.29126 1.43418 -3.71202
C -1.14930 -0.72275 -2.25525
C 2.25174 -0.53218 -0.96549
C 2.99562 -0.06003 0.15527
O 4.29778 -0.43313 0.13447
└──
Often these stories are deeply personal. Sometimes they are very difficult to share. But for the sake of the community and individuals that your organization serves, your CEO must share their story. They give a voice to the cause. They have the unique opportunity to tell the world why your organization exists and who it is helping.
Put your executive in the winner’s circle
In addition to the strategies mentioned above, it is always a great idea to secure a few awards for your executive. If you’ve done your homework and gotten them active on social, started them writing and contributing content, and secured speaking gigs and panels at industry conferences, then the awards should come easy. Awards tend to be the final feather in the cap for building executive clout. You know your CEO is great, others believe so too. When they win an important industry or leadership award, then they have that third-party endorsement that says “This is a person worth paying attention to.”
Creating opportunities for executive visibility will support every other PR strategy in your playbook. They may be just one person in a very large organization, but as the head honcho, they need to share their expertise, perspectives, and personal stories. If we know what an organization’s leader is thinking, where they are driving change, and why, then we trust that the organization as a whole is worth supporting, worth listening to, and worth engaging with. And with that support, we are all able to make a greater impact.
Diana Crawford is a seasoned public relations consultant with more than 15 years of agency, consulting, and in-house experience. She joined Orapin in 2013 and manages account services and client communications strategy development. She has worked across a variety of industries and has expertise with professional services, food/alcohol, health and wellness, lifestyle, sports, education, tech, and non-profit organizations.